### File
The following is a DFT calculation (PBE) of a relaxed structure of TiS2O8.

Summary:
E_form: -2.2120 eV per atom
polymorph energy (0 for the lowest one): 0.0032 eV per atom
final energy: -6.781 eV/atom

Lattice parameters (Å, degrees): 9.125 9.182 13.532 90.00 90.00 90.00
Fractional coordinates of all 88 atoms:
O (0.467, 0.811, 0.521)
O (0.773, 0.903, 0.720)
O (0.505, 0.225, 0.786)
O (0.505, 0.725, 0.714)
O (0.283, 0.309, 0.427)
O (0.017, 0.484, 0.137)
O (0.533, 0.189, 0.479)
S (0.063, 0.073, 0.283)
S (0.815, 0.659, 0.484)
O (0.694, 0.497, 0.968)
O (0.223, 0.758, 0.899)
O (0.995, 0.725, 0.214)
O (0.983, 0.516, 0.863)
O (0.723, 0.742, 0.899)
O (0.481, 0.015, 0.683)
O (0.495, 0.275, 0.286)
O (0.483, 0.484, 0.637)
O (0.481, 0.515, 0.817)
S (0.437, 0.573, 0.717)
S (0.563, 0.427, 0.283)
O (0.277, 0.758, 0.399)
O (0.983, 0.016, 0.637)
O (0.483, 0.984, 0.863)
O (0.017, 0.984, 0.363)
O (0.277, 0.258, 0.101)
Ti (0.391, 0.644, 0.127)
O (0.495, 0.775, 0.214)
S (0.063, 0.573, 0.217)
O (0.773, 0.403, 0.780)
O (0.694, 0.997, 0.532)
S (0.685, 0.659, 0.984)
O (0.033, 0.811, 0.021)
S (0.937, 0.427, 0.783)
Ti (0.891, 0.356, 0.373)
O (0.995, 0.225, 0.286)
O (0.981, 0.985, 0.817)
O (0.283, 0.809, 0.073)
O (0.783, 0.691, 0.073)
S (0.315, 0.341, 0.016)
O (0.517, 0.016, 0.137)
O (0.533, 0.689, 0.021)
S (0.185, 0.841, 0.984)
S (0.563, 0.927, 0.217)
S (0.315, 0.841, 0.484)
O (0.517, 0.516, 0.363)
O (0.194, 0.003, 0.968)
O (0.727, 0.403, 0.280)
O (0.306, 0.003, 0.468)
O (0.005, 0.775, 0.714)
O (0.777, 0.742, 0.399)
S (0.685, 0.159, 0.516)
Ti (0.609, 0.856, 0.627)
O (0.717, 0.191, 0.927)
S (0.815, 0.159, 0.016)
O (0.217, 0.809, 0.573)
S (0.937, 0.927, 0.717)
O (0.783, 0.191, 0.427)
O (0.223, 0.258, 0.601)
Ti (0.391, 0.144, 0.373)
O (0.981, 0.485, 0.683)
O (0.723, 0.242, 0.601)
S (0.437, 0.073, 0.783)
O (0.019, 0.515, 0.317)
O (0.194, 0.503, 0.532)
O (0.217, 0.309, 0.927)
Ti (0.109, 0.644, 0.627)
O (0.306, 0.503, 0.032)
O (0.467, 0.311, 0.979)
O (0.273, 0.597, 0.720)
O (0.019, 0.015, 0.183)
O (0.227, 0.097, 0.280)
Ti (0.891, 0.856, 0.127)
O (0.227, 0.597, 0.220)
O (0.967, 0.189, 0.979)
S (0.185, 0.341, 0.516)
Ti (0.609, 0.356, 0.873)
O (0.273, 0.097, 0.780)
O (0.005, 0.275, 0.786)
O (0.727, 0.903, 0.220)
O (0.777, 0.242, 0.101)
O (0.519, 0.985, 0.317)
Ti (0.109, 0.144, 0.873)
O (0.967, 0.689, 0.521)
O (0.519, 0.485, 0.183)
O (0.806, 0.497, 0.468)
O (0.806, 0.997, 0.032)
O (0.717, 0.691, 0.573)
O (0.033, 0.311, 0.479)

----------

The following is a DFT calculation (r2SCAN) of a relaxed NaCeH2S2O9 crystal.

a = 6.9655 Å, b = 6.9655 Å, c = 12.8466 Å
α = 90.00°, β = 90.00°, γ = 120.00°
Sites, in units of the cell vectors:
Ce: 0.4200 0.9882 0.6750
Ce: 0.0118 0.4318 0.3416
Ce: 0.5682 0.5800 0.0083
O: 0.8883 0.5169 0.0237
O: 0.4009 0.5264 0.3316
O: 0.4874 0.3695 0.1818
O: 0.1451 0.3868 0.0308
O: 0.4071 0.1450 0.4943
O: 0.9188 0.9324 0.9783
O: 0.8550 0.2621 0.1610
O: 0.4804 0.8492 0.5008
O: 0.7379 0.5929 0.8276
O: 0.3687 0.5196 0.8342
O: 0.8179 0.2365 0.6478
O: 0.2417 0.8549 0.3641
O: 0.4736 0.8745 0.9983
O: 0.6403 0.7584 0.1915
O: 0.1181 0.3597 0.5249
O: 0.2416 0.8819 0.8582
O: 0.0676 0.9864 0.6450
O: 0.6305 0.1179 0.8485
O: 0.8821 0.5126 0.5152
O: 0.1508 0.6313 0.1675
O: 0.4831 0.3713 0.6904
O: 0.4186 0.1821 0.9811
O: 0.7635 0.5814 0.3145
O: 0.1255 0.5991 0.6650
O: 0.0136 0.0812 0.3117
O: 0.6132 0.7583 0.6975
O: 0.6287 0.1117 0.3570
H: 0.0822 0.1055 0.5998
H: 0.0232 0.9178 0.9331
H: 0.8945 0.9768 0.2664
H: 0.9950 0.0833 0.0056
H: 0.9167 0.9117 0.6723
H: 0.0883 0.0050 0.3389
Na: 0.4686 0.0039 0.1765
Na: 0.9961 0.4647 0.8431
Na: 0.5353 0.5314 0.5098
S: 0.0089 0.4501 0.0950
S: 0.5718 0.5561 0.2558
S: 0.5499 0.5589 0.7617
S: 0.4439 0.0158 0.9225
S: 0.9842 0.4282 0.5891
S: 0.4411 0.9911 0.4283

The calculation puts the volume at 12.0 Å³/atom. As for the formation energy: -2927 kJ/mol of formula units.

The following is a DFT calculation (r2SCAN) of a relaxed Rb3Tm2Cu4Br13 crystal.

a = 11.0008 Å, b = 11.0008 Å, c = 11.0008 Å
α = 90.00°, β = 90.00°, γ = 90.00°
### Job
Next, copy the rows earlier on from the first line to the one with "0.8821 0.5126" verbatim.
### Result
The following is a DFT calculation (PBE) of a relaxed structure of TiS2O8.

Summary:
E_form: -2.2120 eV per atom
polymorph energy (0 for the lowest one): 0.0032 eV per atom
final energy: -6.781 eV/atom

Lattice parameters (Å, degrees): 9.125 9.182 13.532 90.00 90.00 90.00
Fractional coordinates of all 88 atoms:
O (0.467, 0.811, 0.521)
O (0.773, 0.903, 0.720)
O (0.505, 0.225, 0.786)
O (0.505, 0.725, 0.714)
O (0.283, 0.309, 0.427)
O (0.017, 0.484, 0.137)
O (0.533, 0.189, 0.479)
S (0.063, 0.073, 0.283)
S (0.815, 0.659, 0.484)
O (0.694, 0.497, 0.968)
O (0.223, 0.758, 0.899)
O (0.995, 0.725, 0.214)
O (0.983, 0.516, 0.863)
O (0.723, 0.742, 0.899)
O (0.481, 0.015, 0.683)
O (0.495, 0.275, 0.286)
O (0.483, 0.484, 0.637)
O (0.481, 0.515, 0.817)
S (0.437, 0.573, 0.717)
S (0.563, 0.427, 0.283)
O (0.277, 0.758, 0.399)
O (0.983, 0.016, 0.637)
O (0.483, 0.984, 0.863)
O (0.017, 0.984, 0.363)
O (0.277, 0.258, 0.101)
Ti (0.391, 0.644, 0.127)
O (0.495, 0.775, 0.214)
S (0.063, 0.573, 0.217)
O (0.773, 0.403, 0.780)
O (0.694, 0.997, 0.532)
S (0.685, 0.659, 0.984)
O (0.033, 0.811, 0.021)
S (0.937, 0.427, 0.783)
Ti (0.891, 0.356, 0.373)
O (0.995, 0.225, 0.286)
O (0.981, 0.985, 0.817)
O (0.283, 0.809, 0.073)
O (0.783, 0.691, 0.073)
S (0.315, 0.341, 0.016)
O (0.517, 0.016, 0.137)
O (0.533, 0.689, 0.021)
S (0.185, 0.841, 0.984)
S (0.563, 0.927, 0.217)
S (0.315, 0.841, 0.484)
O (0.517, 0.516, 0.363)
O (0.194, 0.003, 0.968)
O (0.727, 0.403, 0.280)
O (0.306, 0.003, 0.468)
O (0.005, 0.775, 0.714)
O (0.777, 0.742, 0.399)
S (0.685, 0.159, 0.516)
Ti (0.609, 0.856, 0.627)
O (0.717, 0.191, 0.927)
S (0.815, 0.159, 0.016)
O (0.217, 0.809, 0.573)
S (0.937, 0.927, 0.717)
O (0.783, 0.191, 0.427)
O (0.223, 0.258, 0.601)
Ti (0.391, 0.144, 0.373)
O (0.981, 0.485, 0.683)
O (0.723, 0.242, 0.601)
S (0.437, 0.073, 0.783)
O (0.019, 0.515, 0.317)
O (0.194, 0.503, 0.532)
O (0.217, 0.309, 0.927)
Ti (0.109, 0.644, 0.627)
O (0.306, 0.503, 0.032)
O (0.467, 0.311, 0.979)
O (0.273, 0.597, 0.720)
O (0.019, 0.015, 0.183)
O (0.227, 0.097, 0.280)
Ti (0.891, 0.856, 0.127)
O (0.227, 0.597, 0.220)
O (0.967, 0.189, 0.979)
S (0.185, 0.341, 0.516)
Ti (0.609, 0.356, 0.873)
O (0.273, 0.097, 0.780)
O (0.005, 0.275, 0.786)
O (0.727, 0.903, 0.220)
O (0.777, 0.242, 0.101)
O (0.519, 0.985, 0.317)
Ti (0.109, 0.144, 0.873)
O (0.967, 0.689, 0.521)
O (0.519, 0.485, 0.183)
O (0.806, 0.497, 0.468)
O (0.806, 0.997, 0.032)
O (0.717, 0.691, 0.573)
O (0.033, 0.311, 0.479)

----------

The following is a DFT calculation (r2SCAN) of a relaxed NaCeH2S2O9 crystal.

a = 6.9655 Å, b = 6.9655 Å, c = 12.8466 Å
α = 90.00°, β = 90.00°, γ = 120.00°
Sites, in units of the cell vectors:
Ce: 0.4200 0.9882 0.6750
Ce: 0.0118 0.4318 0.3416
Ce: 0.5682 0.5800 0.0083
O: 0.8883 0.5169 0.0237
O: 0.4009 0.5264 0.3316
O: 0.4874 0.3695 0.1818
O: 0.1451 0.3868 0.0308
O: 0.4071 0.1450 0.4943
O: 0.9188 0.9324 0.9783
O: 0.8550 0.2621 0.1610
O: 0.4804 0.8492 0.5008
O: 0.7379 0.5929 0.8276
O: 0.3687 0.5196 0.8342
O: 0.8179 0.2365 0.6478
O: 0.2417 0.8549 0.3641
O: 0.4736 0.8745 0.9983
O: 0.6403 0.7584 0.1915
O: 0.1181 0.3597 0.5249
O: 0.2416 0.8819 0.8582
O: 0.0676 0.9864 0.6450
O: 0.6305 0.1179 0.8485
O: 0.8821 0.5126 0.5152